Buhari’s double: Revisionists at work

Stick enough dirt and it will stick’. Apparently following this dictum, those who have been pushing the ‘Buhari double’ narrative have intensified their spinning, spreading it far and wide in the hope that it would stick as truth somewhere along the way if they persist with it. And some people are beginning to waver, beginning […]

Buhari’s double: Revisionists at work

Muhammadu Buhari

Stick enough dirt and it will stick’. Apparently following this dictum, those who have been pushing the ‘Buhari double’ narrative have intensified their spinning, spreading it far and wide in the hope that it would stick as truth somewhere along the way if they persist with it. And some people are beginning to waver, beginning to ask themselves whether this is not true after all.

It started in the social media as a joke of some sort, gained traction there, even assumed a life of its own there. Then, it was catapulted to the conservative media, thereby forcing those who were initially uninterested to pay attention to it. In fact it is now the talk of town at pepper soup joints, beer parlours, majalisas. The purveyors talk about it with some kind of relish accompanied with wry smiles as though they derive some joy from it. Let us even assume that it is a fact. Is it something we should gloat over, laugh our heads over in childish pranks? Should it not rather engender sober reflection and muffled amazement about its dire consequences for our country, if it is indeed true?

In gleefully and loudly talking about it, one cannot but conclude that these people who can rightly be called anti-Buharists are people that had been wishing Mr. President death and to wit, enemies of Nigeria. They outline some ten reasons as ‘proof’ of their weird narrative that the present occupant of Aso Villa is not the President Muhammadu Buhari we had all been accustomed to since June 2015 but a certain Jibril from Sudan who after undergoing extensive plastic surgery is being passed off as Mr. President. They say Mr. President is shorter now, now wears glasses, has a different ear lobe, hardly removes his cap in public because whenever he removes it, we shall see that his head is different, his wife hardly sees him, etc.  In this digital age we are aware that photographs and even videos can be manipulated. So the fact that there are photographs to ‘prove’ their point does not make it true. Gone are the days when we were told that pictures do not tell lies. Pictures and videos do indeed tell lies in this era of artificial intelligence et al. Perhaps the most audacious of these anti Buharists narrative is their claim that the Prime Minister of Britain wrote a condolence message to Nigeria over the alleged death of Buhari

____________
(1)
Computed, not measured: a molecular structure, C41H91N5O3 in a non-equilibrium geometry, with the ωB97M-V functional and the def2-TZVPD basis.

The geometry in XYZ format:
```
140
C41H91N5O3 the ωB97M-V functional and the def2-TZVPD basis
O -0.60 -0.71 0.07
C -0.64 0.45 -0.54
O -0.09 0.55 -1.64
O -1.14 1.42 0.01
H -0.20 -0.82 -0.79
C -3.38 0.73 1.42
C -2.76 -0.52 0.79
C -3.65 -1.70 1.10
N -3.42 -3.02 0.22
C -3.78 -2.69 -1.30
C -4.30 -4.19 0.77
C -3.39 -4.98 1.59
C -1.97 -4.96 0.99
C -1.92 -3.62 0.18
H -4.39 0.88 1.04
H -2.91 1.68 1.15
H -3.42 0.66 2.51
H -1.89 -0.79 1.39
H -2.36 -0.42 -0.22
H -4.71 -1.53 0.91
H -3.62 -2.11 2.11
H -4.77 -2.27 -1.50
H -3.66 -3.64 -1.82
H -3.22 -1.82 -1.64
H -4.61 -4.85 -0.04
H -5.12 -3.76 1.33
H -3.77 -5.95 1.92
H -3.39 -4.49 2.56
H -1.82 -5.78 0.28
H -1.22 -5.04 1.77
H -1.59 -3.84 -0.84
H -1.14 -3.03 0.66
C 1.86 -1.75 -6.07
C 1.34 -2.97 -5.36
C 1.83 -2.93 -3.81
N 1.36 -4.12 -2.79
C 1.94 -5.47 -3.18
C 1.65 -3.74 -1.28
C 0.46 -2.80 -0.75
C -0.55 -2.80 -1.85
C -0.17 -4.10 -2.58
H 2.91 -1.88 -6.32
H 1.85 -0.86 -5.44
H 1.39 -1.58 -7.04
H 1.64 -3.86 -5.91
H 0.25 -2.99 -5.38
H 1.40 -2.07 -3.28
H 2.89 -2.99 -3.56
H 3.01 -5.31 -3.02
H 1.56 -5.52 -4.20
H 1.66 -6.20 -2.42
H 1.69 -4.64 -0.68
H 2.57 -3.16 -1.42
H 0.18 -3.13 0.25
H 0.82 -1.79 -0.56
H -1.50 -2.78 -1.31
H -0.48 -1.92 -2.49
H -0.54 -4.86 -1.88
H -0.65 -4.16 -3.55
C 2.51 -2.27 0.17
C 2.38 -0.93 -0.68
C 3.11 0.22 0.08
N 3.17 1.60 -0.67
C 3.70 1.46 -2.19
C 4.07 2.49 0.20
C 3.82 3.86 -0.35
C 2.38 3.90 -0.75
C 1.96 2.49 -0.72
H 2.46 -3.19 -0.42
H 1.72 -2.40 0.91
H 3.46 -2.40 0.69
H 1.41 -0.62 -1.08
H 2.96 -1.13 -1.58
H 4.13 -0.12 0.31
H 2.44 0.36 0.92
H 4.71 1.08 -2.06
H 3.69 2.46 -2.62
H 3.04 0.78 -2.73
H 5.06 2.03 0.30
H 3.58 2.45 1.17
H 4.34 3.90 -1.31
H 4.10 4.62 0.37
H 2.22 4.32 -1.74
H 1.83 4.57 -0.09
H 1.22 2.07 -1.40
H 1.53 2.22 0.25
C -1.39 7.31 1.92
C -1.04 6.13 0.94
C -2.17 5.03 0.83
N -1.84 3.87 -0.20
C -0.42 3.22 0.19
C -1.88 4.46 -1.67
C -2.61 3.43 -2.56
C -2.84 2.23 -1.71
C -2.87 2.73 -0.25
H -1.93 7.99 1.26
H -0.38 7.65 2.15
H -2.04 7.13 2.77
H -0.07 5.77 1.25
H -0.61 6.50 0.01
H -3.13 5.51 0.66
H -2.11 4.55 1.81
H 0.39 3.93 0.05
H -0.29 2.48 -0.60
H -0.53 2.70 1.14
H -0.84 4.57 -1.97
H -2.43 5.41 -1.59
H -2.22 3.24 -3.56
H -3.52 3.93 -2.88
H -2.02 1.55 -1.91
H -3.80 1.80 -2.00
H -2.66 2.03 0.56
H -3.83 3.17 -0.02
C 4.30 0.50 4.89
C 2.76 0.15 4.94
C 2.17 0.58 3.52
N 0.74 0.10 3.16
C 0.52 -1.43 2.98
C -0.37 0.83 4.06
C -1.59 0.92 3.18
C -1.20 0.76 1.80
C 0.31 0.72 1.74
H 4.88 0.22 5.77
H 4.43 1.57 4.73
H 4.73 -0.09 4.08
H 2.17 0.55 5.77
H 2.69 -0.93 5.05
H 2.83 0.14 2.76
H 2.28 1.65 3.33
H -0.51 -1.75 2.82
H 1.02 -1.96 3.79
H 1.02 -1.82 2.09
H -0.50 0.33 5.03
H 0.01 1.83 4.25
H -2.36 0.24 3.54
H -2.08 1.89 3.33
H -1.62 -0.18 1.44
H -1.55 1.65 1.27
H 0.75 0.19 0.90
H 0.69 1.73 1.63
```
____________

That is what they bandy at pepper soup joints and beer parlours but on their referenced site is a photo of the Queen of England, purportedly writing a condolence letter with the quoted words displayed. However, the question is: can the queen or prime minister write a condolence letter on death of a president or head of state without the British Broadcasting Corporation (BBC) reporting it? Indeed can the alleged death of the president of the world’s most populous black nation be shielded from the whole world, particularly in an advanced democratic nation as Britain where it is purported to have happened?  They say that Britain was bribed to keep quiet over the affair. Is civilised and rich Britain as corrupt as poor, developing countries like ours that it would do anything for money? What about the wikileaks of this world – organisations that are focused on unearthing government and personal secrets? Why have they not spilled the beans as a scoop?  I can well imagine that the government has not officially responded to this Buhari double narrative because it does not want to adorn this fairy tale with any modicum of respectability coming as it is, from quarters that never see anything good in Buhari or his government.

# These data records were left in the piece by mistake
~~~
{
  "formula": "C5H12",
  "method": "ωB97M-V/def2-TZVPD",
  "species": ["C", "C", "H", "H", "H", "H", "C", "C", "C", "H", "H", "H", "H", "H", "H", "H", "H"],
  "positions_angstrom": [[2.9170, -1.7142, 0.4403], [2.4156, -0.5552, 0.8558], [2.8993, -2.0339, -0.5928], [3.6214, -2.2350, 1.0773], [1.6933, 0.0066, 0.2770], [2.7601, -0.1925, 1.8148], [-1.3364, 1.6849, -1.0183], [-2.0548, 0.4554, -0.4895], [-1.1642, -0.4393, 0.3739], [-0.6491, 2.1393, -0.3003], [-2.0034, 2.5352, -1.1905], [-0.7740, 1.5462, -1.9414], [-2.5746, -0.1157, -1.2570], [-2.8889, 0.8318, 0.1177], [-1.8027, -1.1169, 0.9487], [-0.4220, -0.9274, -0.2564], [-0.6364, 0.1306, 1.1407]],
  "forces_ev_per_angstrom": [[0.8, 0.7, -0.1], [0.2, -0.7, -0.1], [-0.7, -0.3, 0.0], [0.0, -0.1, 0.0], [0.3, 0.2, 0.0], [-0.5, 0.2, 0.2], [0.1, 0.9, -0.3], [-0.4, 0.6, 0.8], [-0.5, 0.3, 0.0], [0.2, -0.5, 0.2], [-0.3, -0.3, -0.3], [0.0, -0.2, 0.0], [0.3, -0.1, -0.3], [0.2, -0.1, 0.2], [0.3, -0.4, -0.4], [-0.1, -0.4, 0.2], [0.1, 0.2, -0.2]],
  "mulliken_charge": [-0.50, -0.44, 0.26, 0.24, 0.23, 0.21, -1.15, -0.18, -1.04, 0.30, 0.35, 0.29, 0.30, 0.27, 0.33, 0.25, 0.29],
  "smiles": "C=C.CCC",
  "orbital_gap_ev": 11.253,
  "de_lowest_kj_mol": 151.2,
  "mol_weight_g_mol": 72.15
}

~~~~~

(1)
{
  "formula": "C9H23BaF3NO16S3",
  "method": "ωB97M-V/def2-TZVPD",
  "e_lumo_ha": 0.1752,
  "homo_ev": 2.41,
  "e_tot_ev": -85307.357,
  "total_charge": -3,
  "spin_multiplicity": 1,
  "symbols": ["Ba", "S", "O", "O", "O", "O", "S", "O", "O", "O", "O", "C", "F", "F", "F", "S", "O", "O", "O", "C", "C", "O", "O", "H", "H", "H", "H", "H", "H", "C", "C", "O", "O", "H", "H", "H", "H", "H", "H", "C", "C", "C", "O", "C", "N", "H", "H", "H", "H", "H", "H", "H", "H", "H", "H", "H"],
~~~

As outlandish as these claims are, they are still believed by some gullible and seemingly educated people. The ‘Buhari double’ tale should be discountenanced as false because it originates from a discredited source. Leaders and followers alike should at this time avoid hate speeches, pandering to sentiments of whatever kind and instead preach unity as we are one people united by God with a common destiny.

Victoria Ngozi Ikeano, Lafia, Nasarawa State